-- Work order --
Restate everything further down unchanged, please.

-- Input --
'''
# 1
Computed, not measured: a structure of composition C12H30AlN2O4 in a non-equilibrium geometry, with ωB97M-V with the def2-TZVPD basis set.

Geometry (Å):
Al: -0.0109 0.6249 1.3281
C: 0.2661 3.9592 -2.1689
O: -0.9745 3.4128 -1.8663
C: -1.9193 3.7582 -2.8301
C: -3.2585 2.9368 -2.5915
N: -3.0525 1.5384 -2.2334
C: -4.3707 0.9359 -1.9943
C: -5.0227 1.3667 -0.6258
O: -4.0638 1.2529 0.4582
C: -4.6968 1.4333 1.7437
H: 0.1313 4.9741 -2.5429
H: 0.6234 3.4749 -3.0777
H: 1.0298 3.6705 -1.4467
H: -1.6023 3.6655 -3.8689
H: -2.1606 4.8192 -2.8948
H: -4.0142 2.9626 -3.3766
H: -3.6347 3.3367 -1.6499
H: -2.9306 1.0588 -3.1139
H: -4.2066 -0.1414 -2.0164
H: -5.0649 1.1682 -2.8019
H: -5.8365 0.6427 -0.5842
H: -5.6049 2.2879 -0.6518
H: -3.9724 1.7666 2.4868
H: -5.1879 0.5142 2.0635
H: -5.4525 2.2099 1.8615
C: 0.6200 -3.3432 4.4354
O: 1.5018 -2.9724 3.3285
C: 2.8611 -3.0577 3.6281
C: 3.7601 -3.4086 2.4900
N: 3.9037 -2.1534 1.6410
C: 4.4925 -2.5087 0.3652
C: 4.5289 -1.2689 -0.6086
O: 3.1640 -0.7632 -0.9000
C: 2.7653 -1.0741 -2.1972
H: 0.8156 -4.4100 4.5432
H: -0.3423 -3.0815 3.9954
H: 0.7777 -2.7984 5.3662
H: 2.9749 -3.8757 4.3394
H: 3.1672 -2.1492 4.1468
H: 3.5585 -4.3087 1.9093
H: 4.7560 -3.4599 2.9300
H: 4.5060 -1.5192 2.1460
H: 3.9860 -3.2937 -0.1964
H: 5.5051 -2.9085 0.4187
H: 5.1354 -1.5170 -1.4796
H: 4.8981 -0.3122 -0.2392
H: 1.7887 -0.5956 -2.2708
H: 2.5144 -2.1242 -2.3474
H: 3.3481 -0.7257 -3.0498

The net charge is +3. The value obtained for the HOMO energy is -16.95 eV. The energy above the lowest of the compared OMol25 structures with the same formula, charge and spin comes out at 242.5 kcal per mole.



# 2
Computed, not measured: a structure of composition C12H30AlN4O3, with ωB97M-V with the def2-TZVPD basis set.

Geometry (Å):
C: -1.6172 7.0175 -1.6105
C: -0.3662 6.3782 -1.0196
C: 0.8486 7.2939 -0.9455
N: -0.2960 5.2078 -0.6012
Al: -1.6192 3.8302 -0.6679
H: -2.4713 6.8311 -0.9666
H: -1.8600 6.5540 -2.5630
H: -1.5000 8.0853 -1.7658
H: 1.3564 7.1345 -0.0005
H: 1.5335 7.0618 -1.7588
H: 0.5994 8.3491 -1.0322
H: -0.8746 2.4610 -1.2550
H: -2.1388 3.5252 0.8046
H: -2.8863 4.1708 -1.6687
C: 0.8014 -1.1154 1.1020
O: 0.7588 -2.3226 0.8922
N: 1.4693 -0.2394 0.3535
C: 1.4720 1.1837 0.6561
C: 2.1986 -0.7320 -0.8037
H: 0.2670 -0.6438 1.9446
H: 1.0358 1.7485 -0.1689
H: 2.4896 1.5336 0.8434
H: 0.8659 1.3670 1.5405
H: 1.5329 -1.2373 -1.5012
H: 2.9575 -1.4561 -0.5063
H: 2.6686 0.1152 -1.2962
C: -2.6381 0.3277 1.2479
O: -3.1312 1.3763 1.5832
N: -2.6846 -0.8186 1.9786
C: -2.0600 -2.0412 1.5298
C: -3.3851 -0.7851 3.2449
H: -2.0800 0.2146 0.3002
H: -2.7947 -2.8444 1.4133
H: -1.2917 -2.3833 2.2278
H: -1.5802 -1.8702 0.5690
H: -4.4319 -0.5088 3.1067
H: -2.9429 -0.0486 3.9181
H: -3.3298 -1.7711 3.7029
C: 2.5557 -5.0182 -2.1904
O: 2.3791 -3.8206 -2.2451
N: 2.1443 -5.8207 -1.1902
C: 2.4070 -7.2402 -1.2121
C: 1.4184 -5.2607 -0.0540
H: 3.0903 -5.5744 -2.9834
H: 1.4777 -7.8154 -1.1968
H: 3.0079 -7.5451 -0.3515
H: 2.9528 -7.4933 -2.1195
H: 0.4957 -4.7787 -0.3718
H: 2.0038 -4.5023 0.4615
H: 1.1917 -6.0795 0.6255

The net charge is -1. The value obtained for the HOMO energy is -3.81 eV. The energy above the lowest of the compared OMol25 structures with the same formula, charge and spin comes out at 0.0 kcal per mole.



# 3
Computed, not measured: a structure of composition C12H30AsF6N6O6Tl in a non-equilibrium geometry, with ωB97M-V with the def2-TZVPD basis set.

Geometry (Å):
Tl: -1.0011 -0.2128 -0.9323
As: 0.2304 -7.5663 0.7061
F: 1.6265 -7.2261 1.7324
F: 1.2348 -7.5317 -0.7614
F: -1.2504 -7.9056 -0.3243
F: -0.7842 -7.6169 2.1564
F: -0.0322 -5.7576 0.4828
F: 0.6688 -9.2830 0.7544
O: 3.7730 3.0963 0.3716
C: 4.4796 4.0633 0.7614
N: 4.4295 5.2258 0.1528
C: 5.4632 3.9155 1.8889
H: 4.0322 5.1673 -0.7740
H: 4.5341 6.1150 0.6202
H: 5.8579 4.8815 2.2037
H: 6.3935 3.4132 1.6240
H: 4.9757 3.6039 2.8127
O: 4.3666 -2.0698 -2.0453
C: 5.5166 -2.1444 -1.6411
N: 5.7735 -2.9734 -0.6606
C: 6.6396 -1.3284 -2.2010
H: 6.5194 -2.7044 -0.0351
H: 5.0037 -3.5660 -0.3844
'''

-- Outcome --
# 1
Computed, not measured: a structure of composition C12H30AlN2O4 in a non-equilibrium geometry, with ωB97M-V with the def2-TZVPD basis set.

Geometry (Å):
Al: -0.0109 0.6249 1.3281
C: 0.2661 3.9592 -2.1689
O: -0.9745 3.4128 -1.8663
C: -1.9193 3.7582 -2.8301
C: -3.2585 2.9368 -2.5915
N: -3.0525 1.5384 -2.2334
C: -4.3707 0.9359 -1.9943
C: -5.0227 1.3667 -0.6258
O: -4.0638 1.2529 0.4582
C: -4.6968 1.4333 1.7437
H: 0.1313 4.9741 -2.5429
H: 0.6234 3.4749 -3.0777
H: 1.0298 3.6705 -1.4467
H: -1.6023 3.6655 -3.8689
H: -2.1606 4.8192 -2.8948
H: -4.0142 2.9626 -3.3766
H: -3.6347 3.3367 -1.6499
H: -2.9306 1.0588 -3.1139
H: -4.2066 -0.1414 -2.0164
H: -5.0649 1.1682 -2.8019
H: -5.8365 0.6427 -0.5842
H: -5.6049 2.2879 -0.6518
H: -3.9724 1.7666 2.4868
H: -5.1879 0.5142 2.0635
H: -5.4525 2.2099 1.8615
C: 0.6200 -3.3432 4.4354
O: 1.5018 -2.9724 3.3285
C: 2.8611 -3.0577 3.6281
C: 3.7601 -3.4086 2.4900
N: 3.9037 -2.1534 1.6410
C: 4.4925 -2.5087 0.3652
C: 4.5289 -1.2689 -0.6086
O: 3.1640 -0.7632 -0.9000
C: 2.7653 -1.0741 -2.1972
H: 0.8156 -4.4100 4.5432
H: -0.3423 -3.0815 3.9954
H: 0.7777 -2.7984 5.3662
H: 2.9749 -3.8757 4.3394
H: 3.1672 -2.1492 4.1468
H: 3.5585 -4.3087 1.9093
H: 4.7560 -3.4599 2.9300
H: 4.5060 -1.5192 2.1460
H: 3.9860 -3.2937 -0.1964
H: 5.5051 -2.9085 0.4187
H: 5.1354 -1.5170 -1.4796
H: 4.8981 -0.3122 -0.2392
H: 1.7887 -0.5956 -2.2708
H: 2.5144 -2.1242 -2.3474
H: 3.3481 -0.7257 -3.0498

The net charge is +3. The value obtained for the HOMO energy is -16.95 eV. The energy above the lowest of the compared OMol25 structures with the same formula, charge and spin comes out at 242.5 kcal per mole.



# 2
Computed, not measured: a structure of composition C12H30AlN4O3, with ωB97M-V with the def2-TZVPD basis set.

Geometry (Å):
C: -1.6172 7.0175 -1.6105
C: -0.3662 6.3782 -1.0196
C: 0.8486 7.2939 -0.9455
N: -0.2960 5.2078 -0.6012
Al: -1.6192 3.8302 -0.6679
H: -2.4713 6.8311 -0.9666
H: -1.8600 6.5540 -2.5630
H: -1.5000 8.0853 -1.7658
H: 1.3564 7.1345 -0.0005
H: 1.5335 7.0618 -1.7588
H: 0.5994 8.3491 -1.0322
H: -0.8746 2.4610 -1.2550
H: -2.1388 3.5252 0.8046
H: -2.8863 4.1708 -1.6687
C: 0.8014 -1.1154 1.1020
O: 0.7588 -2.3226 0.8922
N: 1.4693 -0.2394 0.3535
C: 1.4720 1.1837 0.6561
C: 2.1986 -0.7320 -0.8037
H: 0.2670 -0.6438 1.9446
H: 1.0358 1.7485 -0.1689
H: 2.4896 1.5336 0.8434
H: 0.8659 1.3670 1.5405
H: 1.5329 -1.2373 -1.5012
H: 2.9575 -1.4561 -0.5063
H: 2.6686 0.1152 -1.2962
C: -2.6381 0.3277 1.2479
O: -3.1312 1.3763 1.5832
N: -2.6846 -0.8186 1.9786
C: -2.0600 -2.0412 1.5298
C: -3.3851 -0.7851 3.2449
H: -2.0800 0.2146 0.3002
H: -2.7947 -2.8444 1.4133
H: -1.2917 -2.3833 2.2278
H: -1.5802 -1.8702 0.5690
H: -4.4319 -0.5088 3.1067
H: -2.9429 -0.0486 3.9181
H: -3.3298 -1.7711 3.7029
C: 2.5557 -5.0182 -2.1904
O: 2.3791 -3.8206 -2.2451
N: 2.1443 -5.8207 -1.1902
C: 2.4070 -7.2402 -1.2121
C: 1.4184 -5.2607 -0.0540
H: 3.0903 -5.5744 -2.9834
H: 1.4777 -7.8154 -1.1968
H: 3.0079 -7.5451 -0.3515
H: 2.9528 -7.4933 -2.1195
H: 0.4957 -4.7787 -0.3718
H: 2.0038 -4.5023 0.4615
H: 1.1917 -6.0795 0.6255

The net charge is -1. The value obtained for the HOMO energy is -3.81 eV. The energy above the lowest of the compared OMol25 structures with the same formula, charge and spin comes out at 0.0 kcal per mole.



# 3
Computed, not measured: a structure of composition C12H30AsF6N6O6Tl in a non-equilibrium geometry, with ωB97M-V with the def2-TZVPD basis set.

Geometry (Å):
Tl: -1.0011 -0.2128 -0.9323
As: 0.2304 -7.5663 0.7061
F: 1.6265 -7.2261 1.7324
F: 1.2348 -7.5317 -0.7614
F: -1.2504 -7.9056 -0.3243
F: -0.7842 -7.6169 2.1564
F: -0.0322 -5.7576 0.4828
F: 0.6688 -9.2830 0.7544
O: 3.7730 3.0963 0.3716
C: 4.4796 4.0633 0.7614
N: 4.4295 5.2258 0.1528
C: 5.4632 3.9155 1.8889
H: 4.0322 5.1673 -0.7740
H: 4.5341 6.1150 0.6202
H: 5.8579 4.8815 2.2037
H: 6.3935 3.4132 1.6240
H: 4.9757 3.6039 2.8127
O: 4.3666 -2.0698 -2.0453
C: 5.5166 -2.1444 -1.6411
N: 5.7735 -2.9734 -0.6606
C: 6.6396 -1.3284 -2.2010
H: 6.5194 -2.7044 -0.0351
H: 5.0037 -3.5660 -0.3844